== To do ==
It remains to type out the notes underneath from the line with "3.711" to the end without altering anything.

== Excerpt ==
'''
Formula: C42H104CrLiN5O14
Source: OMol25
Level of theory: wB97M-V/def2-TZVPD

Last column: Löwdin spin population.
CARTESIAN COORDINATES (ANGSTROEM)
1 Li -2.628 2.000 -2.433  0.001
2 Cr -3.596 -1.365 -2.448  3.990
3 C -1.900 4.669 -4.398  0.000
4 C -1.434 3.251 -4.891  0.000
5 C 0.091 3.148 -4.541  0.000
6 O -2.335 2.138 -4.617  0.000
7 H -1.559 4.840 -3.377  0.000
8 H -2.974 4.836 -4.323  0.000
9 H -1.468 5.478 -4.987  0.000
10 H -1.308 3.424 -5.960  0.000
11 H 0.597 4.111 -4.473  0.000
12 H 0.643 2.540 -5.258  0.000
13 H 0.315 2.722 -3.563  0.000
14 C -0.807 -0.251 0.482  0.001
15 C -0.820 0.259 -0.940  0.005
16 C 0.215 -0.399 -1.794  0.001
17 O -2.038 0.150 -1.609  0.044
18 H 0.202 -0.174 0.889  0.000
19 H -1.102 -1.291 0.619  0.000
20 H -1.480 0.379 1.064  0.000
21 H -0.508 1.290 -0.771  0.001
22 H 0.466 0.149 -2.702  0.000
23 H -0.032 -1.448 -1.956  0.000
24 H 1.135 -0.550 -1.231  0.000
25 C -2.137 -2.902 -6.253  0.001
26 C -1.684 -1.841 -5.231  -0.004
27 C -0.765 -0.922 -5.944  -0.003
28 O -2.783 -1.256 -4.487  -0.081
29 H -2.942 -3.508 -5.837  0.000
30 H -1.367 -3.630 -6.510  0.000
31 H -2.500 -2.443 -7.173  0.000
32 H -0.987 -2.238 -4.492  -0.003
33 H -1.216 -0.504 -6.844  0.000
34 H -0.013 -1.614 -6.323  0.000
35 H -0.286 -0.217 -5.265  0.000
36 C -7.951 3.715 2.664  0.000
37 O -6.682 3.799 3.348  0.000
38 C -6.489 2.668 4.105  0.000
39 C -4.925 2.460 4.407  0.000
40 N -4.511 1.125 3.869  0.000
41 C -3.087 0.924 4.066  0.000
42 C -2.638 0.813 5.533  0.000
43 O -3.243 -0.377 6.088  0.000
44 C -2.786 -0.757 7.358  0.000
45 H -8.155 4.708 2.263  0.000
46 H -8.823 3.505 3.283  0.000
47 H -7.966 2.987 1.853  0.000
48 H -6.860 1.717 3.722  0.000
49 H -7.075 2.773 5.018  0.000
50 H -4.683 2.705 5.441  0.000
51 H -4.348 3.287 3.994  0.000
52 H -4.946 0.433 4.462  0.000
53 H -2.531 1.792 3.711  0.000
54 H -2.830 0.000 3.549  0.000
55 H -2.925 1.697 6.103  0.000
56 H -1.550 0.847 5.590  0.000
57 H -2.706 0.094 8.034  0.000
58 H -1.803 -1.222 7.276  0.000
59 H -3.183 -1.585 7.944  0.000
60 C 1.430 5.226 -2.032  0.000
61 O 1.837 3.863 -2.010  0.000
62 C 3.091 3.537 -1.554  0.000
63 C 3.146 2.017 -1.767  0.000
64 N 4.464 1.541 -1.423  0.000
65 C 4.931 0.348 -2.065  0.000
66 C 5.552 -0.441 -0.908  0.000
67 O 6.785 0.068 -0.473  0.000
68 C 7.375 -0.601 0.666  0.000
69 H 0.826 5.468 -2.907  0.000
70 H 2.330 5.832 -2.135  0.000
71 H 1.033 5.541 -1.067  0.000
72 H 3.398 3.828 -0.550  0.000
73 H 3.779 3.964 -2.284  0.000
74 H 2.960 1.807 -2.820  0.000
75 H 2.300 1.670 -1.173  0.000
76 H 5.103 2.310 -1.561  0.000
77 H 5.628 0.574 -2.872  0.000
78 H 4.100 -0.104 -2.607  0.000
79 H 5.836 -1.385 -1.374  0.000
80 H 4.810 -0.636 -0.133  0.000
81 H 7.969 -1.492 0.462  0.000
82 H 6.536 -0.880 1.303  0.000
83 H 7.926 0.095 1.299  0.000
84 C 7.166 3.847 3.865  0.000
85 O 7.173 4.098 2.485  0.000
86 C 6.510 3.109 1.738  0.000
87 C 5.022 2.902 2.087  0.000
88 N 4.620 1.610 1.488  0.000
89 C 3.163 1.417 1.652  0.000
90 C 2.778 1.026 3.047  0.000
91 O 2.724 2.101 3.940  0.000
92 C 1.534 2.832 3.987  0.000
93 H 7.618 4.773 4.220  0.000
94 H 7.818 2.978 3.948  0.000
95 H 6.264 3.657 4.447  0.000
96 H 7.057 2.178 1.890  0.000
97 H 6.497 3.258 0.659  0.000
98 H 4.321 3.676 1.772  0.000
99 H 4.817 2.965 3.156  0.000
100 H 4.772 1.630 0.490  0.000
101 H 2.744 0.606 1.056  0.000
102 H 2.650 2.235 1.146  0.000
103 H 3.524 0.289 3.343  0.000
104 H 1.801 0.554 3.151  0.000
105 H 0.888 2.181 4.577  0.000
106 H 0.942 2.736 3.078  0.000
107 H 1.658 3.868 4.301  0.000
108 C 1.365 -2.760 2.844  0.000
109 O 2.268 -3.460 2.131  0.000
110 C 2.535 -2.953 0.774  0.000
111 C 1.564 -3.481 -0.359  0.000
112 N 1.878 -4.795 -0.865  0.000
113 C 1.764 -5.856 0.057  0.000
114 C 1.876 -7.055 -0.882  0.000
115 O 3.097 -7.467 -1.388  0.000
116 C 4.066 -8.020 -0.537  0.000
117 H 1.664 -1.748 3.115  0.000
118 H 1.076 -3.356 3.710  0.000
119 H 0.415 -2.629 2.325  0.000
120 H 3.521 -3.397 0.642  0.000
121 H 2.609 -1.865 0.788  0.000
122 H 1.762 -2.755 -1.148  0.000
'''

== Done ==
53 H -2.531 1.792 3.711  0.000
54 H -2.830 0.000 3.549  0.000
55 H -2.925 1.697 6.103  0.000
56 H -1.550 0.847 5.590  0.000
57 H -2.706 0.094 8.034  0.000
58 H -1.803 -1.222 7.276  0.000
59 H -3.183 -1.585 7.944  0.000
60 C 1.430 5.226 -2.032  0.000
61 O 1.837 3.863 -2.010  0.000
62 C 3.091 3.537 -1.554  0.000
63 C 3.146 2.017 -1.767  0.000
64 N 4.464 1.541 -1.423  0.000
65 C 4.931 0.348 -2.065  0.000
66 C 5.552 -0.441 -0.908  0.000
67 O 6.785 0.068 -0.473  0.000
68 C 7.375 -0.601 0.666  0.000
69 H 0.826 5.468 -2.907  0.000
70 H 2.330 5.832 -2.135  0.000
71 H 1.033 5.541 -1.067  0.000
72 H 3.398 3.828 -0.550  0.000
73 H 3.779 3.964 -2.284  0.000
74 H 2.960 1.807 -2.820  0.000
75 H 2.300 1.670 -1.173  0.000
76 H 5.103 2.310 -1.561  0.000
77 H 5.628 0.574 -2.872  0.000
78 H 4.100 -0.104 -2.607  0.000
79 H 5.836 -1.385 -1.374  0.000
80 H 4.810 -0.636 -0.133  0.000
81 H 7.969 -1.492 0.462  0.000
82 H 6.536 -0.880 1.303  0.000
83 H 7.926 0.095 1.299  0.000
84 C 7.166 3.847 3.865  0.000
85 O 7.173 4.098 2.485  0.000
86 C 6.510 3.109 1.738  0.000
87 C 5.022 2.902 2.087  0.000
88 N 4.620 1.610 1.488  0.000
89 C 3.163 1.417 1.652  0.000
90 C 2.778 1.026 3.047  0.000
91 O 2.724 2.101 3.940  0.000
92 C 1.534 2.832 3.987  0.000
93 H 7.618 4.773 4.220  0.000
94 H 7.818 2.978 3.948  0.000
95 H 6.264 3.657 4.447  0.000
96 H 7.057 2.178 1.890  0.000
97 H 6.497 3.258 0.659  0.000
98 H 4.321 3.676 1.772  0.000
99 H 4.817 2.965 3.156  0.000
100 H 4.772 1.630 0.490  0.000
101 H 2.744 0.606 1.056  0.000
102 H 2.650 2.235 1.146  0.000
103 H 3.524 0.289 3.343  0.000
104 H 1.801 0.554 3.151  0.000
105 H 0.888 2.181 4.577  0.000
106 H 0.942 2.736 3.078  0.000
107 H 1.658 3.868 4.301  0.000
108 C 1.365 -2.760 2.844  0.000
109 O 2.268 -3.460 2.131  0.000
110 C 2.535 -2.953 0.774  0.000
111 C 1.564 -3.481 -0.359  0.000
112 N 1.878 -4.795 -0.865  0.000
113 C 1.764 -5.856 0.057  0.000
114 C 1.876 -7.055 -0.882  0.000
115 O 3.097 -7.467 -1.388  0.000
116 C 4.066 -8.020 -0.537  0.000
117 H 1.664 -1.748 3.115  0.000
118 H 1.076 -3.356 3.710  0.000
119 H 0.415 -2.629 2.325  0.000
120 H 3.521 -3.397 0.642  0.000
121 H 2.609 -1.865 0.788  0.000
122 H 1.762 -2.755 -1.148  0.000